Washington's Medical Marijuana Mess - Part Two

WA_logo.pngIn part one of our in depth two-part series, we provided a synopsis of Legislative action to date. Now, we delve a bit deeper with a point-by-point analysis of the latest version of 5052, passed via a striking amendment in the House. While some improvements have been made, patients still stand to lose access to their supply of safe, affordable medicine.

The overly-complex nature of 5052 is one of many reasons the proposal is running into strong resistance. It’s indisputably difficult to comprehend, even for lawmakers and policy enthusiasts. ASA has long been committed to demystifying the political process and empowering advocates with the tools they need be effective. With that in mind, here is a birds-eye-view of the Cody-Schmick striker, focusing on how it alters the bill passed by the Senate. 

Significant Improvements
For the first time since 5052’s introduction, some underlying patient concerns were addressed.

  • Affirmative Defense – Preserving the legal rights enshrined in law by Washington voters in 1998 is one of ASA’s top legislative priorities. Prior versions of SB 5052 repealed RCW 69.51A.043, which provides patients with an affirmative defense under the law, regardless of their willingness to put private health information at risk in a patient registry. It’s encouraging to see this touchstone issue being addressed, although technical changes are still required to ensure patients remain protected.
  • Post-Traumatic Stress Disorder – In the 17-year history of Washington’s medical marijuana law, the state’s Medical Quality Assurance Commission (MQAC) has granted only one petitioner’s request for relief. This leaves it up to the legislature to decide if a specific medical condition should qualify under the law. According to a growing body of research, cannabis therapy is proving beneficial in the treatment of PTSD. Yet, Washington remains one of 12 states where medical cannabis is legal, but PTSD is not an approved condition. The Cody-Schmick striker addresses the current disconnect, ensuring that military veterans and others with PTSD no longer have to suffer in silence. 
  • Homemade Infusions and Extracts – In an effort to crackdown on extractions made with flammable solvents, legislators have considered options ranging from outlawing the products altogether to requiring proof items were purchased from licensed outlets. The striker passed by the House Health Care and Wellness committee amends the law to allow patients to legally make butter, cooking oil, baked goods and other infused-products at home, so long as combustible products are not used

Areas That Need Fine Tuning
Several well-intended changes were also made to 5052, which need to be dialed in a bit more.

Materials data, as found in the file >
'''
(1)
## BaSr2I6 (r2SCAN)

Data for an optimized crystal structure of BaSr2I6.

Formation energy ... -1.942 eV per atom
Final energy ... -24.625 eV per atom
Volume ... 50.4 A^3/atom
Crystal system ... orthorhombic
ΔE to the lowest computed polymorph ... 0.41 kcal/mol of atoms

abc: 7.587 8.498 28.138
angles: 90.00 90.00 90.00
Element x y z (fractional)
I1 0.250 0.566 0.706
I2 0.738 0.929 0.534
I3 0.757 0.409 0.630
I4 0.257 0.091 0.130
I5 0.762 0.929 0.034
I6 0.238 0.571 0.034
I7 0.238 0.071 0.966
I8 0.262 0.071 0.466
I9 0.743 0.409 0.130
I10 0.250 0.066 0.794
I11 0.262 0.571 0.534
I12 0.750 0.434 0.294
I13 0.243 0.591 0.370
I14 0.743 0.909 0.870
I15 0.257 0.591 0.870
I16 0.750 0.934 0.706
I17 0.250 0.566 0.206
I18 0.250 0.066 0.294
I19 0.750 0.934 0.206
I20 0.757 0.909 0.370
I21 0.738 0.429 0.466
I22 0.750 0.434 0.794
I23 0.243 0.091 0.630
I24 0.762 0.429 0.966
Ba1 0.000 0.250 0.381
Ba2 0.500 0.750 0.119
Ba3 0.500 0.250 0.881
Ba4 0.000 0.750 0.619
Sr1 0.500 0.250 0.548
Sr2 0.500 0.750 0.452
Sr3 0.000 0.250 0.048
Sr4 0.500 0.750 0.785
Sr5 0.000 0.250 0.715
Sr6 0.000 0.750 0.285
Sr7 0.500 0.250 0.215
Sr8 0.000 0.750 0.952



(2)
## BaSr2I6 (r2SCAN)

Data for an optimized crystal structure of BaSr2I6.

Formation energy ... -1.946 eV per atom
Final energy ... -24.628 eV per atom
Volume ... 50.5 A^3/atom
Crystal system ... monoclinic
ΔE to the lowest computed polymorph ... 0.33 kcal/mol of atoms

abc: 8.366 8.373 7.484
angles: 89.95 89.96 119.88
Element x y z (fractional)
I1 0.650 0.000 0.747
I2 0.651 0.651 0.253
I3 0.001 0.350 0.254
I4 0.349 0.349 0.746
I5 0.350 0.001 0.254
I6 0.999 0.650 0.746
Ba1 0.000 0.000 0.000
Sr1 0.667 0.333 0.500
Sr2 0.333 0.667 0.500



(3)
## BaYI5 (r2SCAN)

Data for an optimized crystal structure of BaYI5.

Formation energy ... -1.738 eV per atom
Final energy ... -25.967 eV per atom
Volume ... 45.3 A^3/atom
Crystal system ... orthorhombic

abc: 7.789 8.587 18.970
angles: 90.00 90.00 90.00
Element x y z (fractional)
I1 0.632 0.127 0.350
I2 0.077 0.408 0.284
I3 0.616 0.594 0.328
I4 0.868 0.873 0.850
I5 0.470 0.351 0.976
I6 0.423 0.592 0.784
I7 0.923 0.908 0.216
I8 0.384 0.094 0.172
I9 0.970 0.149 0.024
I10 0.385 0.871 0.957
I11 0.132 0.373 0.650
I12 0.577 0.092 0.716
I13 0.530 0.851 0.524
I14 0.030 0.649 0.476
I15 0.368 0.627 0.150
I16 0.115 0.129 0.457
I17 0.885 0.629 0.043
I18 0.615 0.371 0.543
I19 0.116 0.906 0.672
I20 0.884 0.406 0.828
Y1 0.152 0.882 0.090
Y2 0.348 0.118 0.590
Y3 0.652 0.618 0.910
Y4 0.848 0.382 0.410
Ba1 0.769 0.662 0.669
Ba2 0.731 0.338 0.169
Ba3 0.231 0.162 0.831
Ba4 0.269 0.838 0.331



(4)
## BaIn4 (r2SCAN)

Data for an optimized crystal structure of BaIn4.

Formation energy ... -0.491 eV per atom
Final energy ... -23.854 eV per atom
Volume ... 30.5 A^3/atom
Crystal system ... tetragonal

abc: 5.030 5.030 7.004
angles: 111.04 111.04 90.00
Element x y z (fractional)
In1 0.750 0.250 0.500
In2 0.382 0.382 0.764
In3 0.250 0.750 0.500
In4 0.618 0.618 0.236
Ba1 0.000 0.000 0.000



(5)
## BaIn9Ir2 (r2SCAN)
'''
Here the page continues >

  • Authorization Forms – “Valid documentation” would be replaced with a standardized “authorization” form developed by the Department of Health (DOH). This form could be utilized by patients who wish to retain affirmative defense protection without registering with DOH. Unfortunately, health care professionals would be required to list types of products and amounts needed, which violates the dictates of the federal court decision in Conant v. Walters. Patient addresses would also be listed on the form, which together with an authorized number of plants, could make people easy targets for crime.
  • Authorization Cards – To obtain arrest protection, cultivate or possess increased quantities and/or receive a tax exemption for purchases of medical grade products, patients and designated providers would need an authorization card. Recreational stores with a medical marijuana endorsement are solely authorized to issue the cards. This presents an undue hardship for patients in nearly half the state, where commercial marijuana enterprises are presently outlawed. It’s also unclear the number of endorsements to be issued by the Liquor Control Board (LCB) and how these outlets will be distributed throughout the state.
  • Contingency Clause – Currently, implementation of 5052 is tied to the success or failure of House Bill 2136, which contains numerous “fixes” to the recreational licensing system. The fate of HB 2136 remains unclear, as it did not make the designated cutoff dates, but is likely to be declared "Necessary To Implement Budget" (NTIB). In its current form, outstanding concerns remain about local bans. Additionally, 2136 would exempt medical products from sales and use taxes, but a 30% excise tax would still apply. There is no other medicine in the United States taxed at such a high rate. 
  • Merit-Based Application – This concept is primarily the work of labor organizers with United Food and Commercial Workers (UFCW). It is intended to ensure that collective garden operators who meet basic standards are given the opportunity to move forward. Under the striker, medical cannabis businesses must meet four main criteria:
    • Operating on or before November 5, 2012
    • Having applied to the LCB for a marijuana retail license prior to July 1, 2014*
    • Having all applicable state and municipal business licenses
    • Have a history of paying all applicable taxes and fees**
      *Provision #2 should be eliminated entirely. Many outstanding medical marijuana providers did not apply because the law itself and/or the LCB’s rules precluded them from providing quality medical care.
      **Provision #4 is questionable due to federal concerns about IRS 280e, as well as ongoing legal disputes about the applicability of sales tax.

Persistent Concerns
Multiple overarching issues have yet to be addressed to ensure appropriate patient care.

  • Requirements for Recommending Clinicians – Concerns here are so numerous that an additional blog is required to fully express them all. However, in a formal letter to policymakers, Dr. Greg Carter outlines a perspective shared by many health care professionals. Sweeping amendments to the authorization process are required to restore the doctor-patient relationship.
  • 60-day Supply – In this case, the striker shifts 5052 from bad to worse. Currently, patients may legally cultivate 15 plants and possess up to 24 ounces of useable cannabis. Under 5052, the standard amount for patients who choose not to register would be greatly reduced to 4 plants and 6 ounces, the equivalent of a two-week supply. No other medication in the U.S. is so tightly controlled. In a state where the majority of voters favor legalizing marijuana, patients should not need to sacrifice existing rights. Also of note, the current definition for 60-day supply was established in 2008, in consideration of substantial stakeholder input. Among the data presented was a peer-reviewed paper on guidelines for dosing medical cannabis.
  • Patient Cooperatives – For consumer safety and legal purposes, it’s important for medical marijuana laws to distinguish between commercial, for-profit businesses and private, patient-to-patient cooperatives. Businesses sell marijuana, advertise their services and typically rotate patients continually. Cooperatives ensure that patients who need large volumes, have limited incomes or live in remote regions are able to pool independent resources to reduce workload and overhead costs, in order to maintain a steady supply of medicine. As currently written, boundaries placed on patient cooperatives are costly and overly restrictive. While a new retail buffer zone would be reduced from 15 miles to one mile, other remaining restrictions are cumbersome and unnecessary, including seed to sale tracking and registration with the LCB, among other things. Instead, the Legislature should look to Spokane and Shoreline, where ordinances have been adopted that allow both licensed businesses and unlicensed patient cooperatives.
  • Dedicated Licensing Pathway – According to recent estimates from the state's Office of Financial Management, there are 1,100 medical marijuana dispensaries in Washington state. It's unclear if this number accounts for medical producers and processors or is limited to distribution only, but if each outlet averages 6 employees, between 5,000 and 6,000 local jobs could be lost if 5052 becomes law. Effective July of next year, every collective garden in Washington would be shut down entirely. Patients would instead be forced to rely on producers, processors and retailers licensed by the LCB under Initiative 502. This presents a slew of problems too abundant to detail, but primarily, it would effectively eliminate access to all products made by manufacturers who did not obtain a license from the LCB prior to July 1, 2014. The same goes for trusted medical dispensaries. In order for a single system to adequately serve two divergent populations, a designated track should be made available to experienced providers who meet specified benchmarks, enabling them to make a smooth and swift transition. Importantly, rules for licensed medical providers must be designed to increase quality and decrease price. As currently written, 5052 accomplishes none of these goals.

What's Next?
As you can see, 5052 is extremely complex, from start to finish. While steps are finally being taken to address key priorities for patients, the bill is presumably too far down the tracks to change course now. Now that 5052 has been sent to the Rules Committee for review, bypassing the chance for a final public hearing, the next stop will likely be a vote on the House Floor.

ASA continues to garner support from bipartisan champions for critical amendments, including a new striker compiled with stakeholder input that utilizes the basic framework in House Bill 2058, which simply implements the vetoed provisions of a bill first passed by the Legislature in 2011. Many members of the House have pledged to vote “No” on 5052 unless all of the chief concerns outlined above are addressed. If we keep up the pressure, a better solution is bound to emerge.

How You Can Help!

  1. Sign ASA’s Petition to the Washington State Legislature
    Kill two birds with one stone by joining hundreds of others who signed on our petition to explain the fundamental flaws of SB 5052 and why HB 2058 is a more practical solution. Once you’ve added your name to the growing list, consider maximizing your reach by forwarding the link to five friends or family members.
  2. Ask Your Health Care Provider to Sign On to Dr. Greg Carter’s Letter
    Make sure Legislators know that Dr. Carter is not alone! Visit your health care provider or neighborhood clinic and ask them to stand up for their patients by signing on to the letter from a highly-respected Spokane physician. Be sure to let them know the ability to legally recommend cannabis is in grave danger. 
  3. Send a Comment to the Bill Sponsor and Other Legislators
    When you visit the link above, you'll see a box near the top, highlighted in green, which says “Comment on this bill.” Clicking on this will take you to a standardized form that you can fill out, which will be routed directly to your lawmakers. Comments are limited to 1,000 characters, so you’ll need to keep your message short and to the point. Try this basic, fill-in-the-blank formula:
    I use cannabis to treat (insert medical condition here). I am concerned that 5052 will interfere with my ability to maintain a steady supply of safe, affordable medicine. Initiative 502 was not designed to meet my unique needs. I am worried about the lack of knowledge and experience, as well as product safety and diversity in recreational shops. I am also concerned that patients like me will be taxed out of the regulated marketplace. (Insert one sentence summary of your thoughts on a patient registry). In a state where an overwhelming majority voted to make marijuana legal for any purpose, regardless of medical need, patients shouldn't need to sacrifice existing legal protections. Please vote NO on 5052 when it comes to the Floor and help make sure I continue to have the high-quality medicine I need, at prices I can afford, from knowledgeable providers I can trust. Patients should not have to suffer to "level the playing field" for business owners and investors. Thank you!
  4. Call Senator and Representatives From Your Home District
    When you click on the link above, you will arrive at a screen where you can enter your address and find out who your elected representatives are. From there, click on their individual names to find a phone number for an Olympia office. You will likely reach a Legislative Assistant or Session Aide. Remember: Be friendly and polite! These are the messengers who will take your concerns directly to the top. If you’re a bit nervous, just duplicate the message from point three word for word.
  5. Email Senators and Representatives to Thank Them for Voting No on 5052
    Again, feel free to use the sample text above to craft a “Thank You” for each Senator and Representative who voted against 5052. Don’t be afraid to ask them to vote the same way when the bill comes before them again!
    Here's a list of supporter names and email addresses: